单词 | 三位一体 | ||||||||||||||||||||||||||||||||||||||||||||||||||||||
释义 | 三位一体 —trinity (often used)less common: Holy Trinity See also:三位体 n—troika n 三一 n—trinity n 三体—trisomy 一体—all concerned • everybody • an integral whole
通过把教育政策、研究和实践这三方面的活 动结合起来,“三位一体”的方式使决策者、研究人员与实践者能经常性地参与活动。 unesdoc.unesco.org | This methodology entailed regular involvement of decision-makers, researchers and practitioners by connecting the fields of educational policy, research and practice. unesdoc.unesco.org |
他的论文对三位一体的名 字显示,从他接触的一个西方的观点统 一 三位一体 的 教 条,但他在很大程度上采用俄,亚他那修,和其他Easterns的作品。 mb-soft.com | The very name of his [...] treatise on the Trinity shows that he approached the dogma from the Western point of view of a Trinity in Unity, but [...]he has largely employed [...]the works of Origen, Athanasius, and other Easterns. mb-soft.com |
他们对三位一体的教义是偶数时Didymus的前进,确实是非常接近的罗马学说,后来在亚他那修信条体现。 mb-soft.com | Their doctrine of the Trinity is an advance even [...] upon that of Didymus, and is very near indeed to the Roman doctrine which [...]was later embodied in the Athanasian creed. mb-soft.com |
突出城市公共开放空间里特有的 三位一体 的 空 间感受,为市民提供一个立体的,舒适的公共空间环境。 chinese-architects.com | The design highlights the features of the town square, utilizing the landscape of the square and the sky to create an irregular-shaped landscape avenue through the entire site. chinese-architects.com |
奇怪的是怎样的兴趣不大,即使在他那 修 三位一体 的 团 结,这几乎没有,除非他引述Dionysii提到表明,它是Didymus和Cappadocia ns 谁 三位一体 的 教 义字的方式,因为神圣的百年 - 三hypostases,一美国新闻署,但这仅仅是古代传统的拉丁式的翻译,虽然它是新东方。 mb-soft.com | It is curious how little interest [...] even Athanasius shows in [...] the Unity of the Trinity, which he scarcely mentions except when quoting the Dionysii; it is Didymus and the Cappadocians who word Trinitarian doctrine in the manner since consecrated by the centuries -- three hypostases, one usia; but this [...]is merely the conventional [...]translation of the ancient Latin formula, though it was new to the East. mb-soft.com |
华硕 K55DR 被配备最新的 AMD 三位一体, 它提 供了舒适的工作,在各种各样的娱乐和办公应用软件。 driver-download.ru | ASUS K55DR is equipped [...] with the latest AMD Trinity, which provides [...]a comfortable work in a wide variety of entertainment and Office applications. driver-download.ru |
在校期间的问答这半个世纪的头部被Didymus盲人,一个儿子在他的学说阿他那修,和比他更清楚,而在他的族长甚 至 三位一体 的 教义,但在许多关于Origenistic继承传统其他问题。 mb-soft.com | The head of the catechetical school during this half-century was Didymus the Blind, an Athanasian in his doctrine of the Son, and rather clearer [...] even than his patriarch in his [...] doctrine of the Trinity, but in many other [...]points carrying on the Origenistic tradition. mb-soft.com |
但是,“固然”的三位一体的外 延和内涵的词是不同的,它仍然是事实Hypostases每三是标识与神性(即,每个人是神),但如果每个Hypostasis因此,仍然是一个physis之(一physis之)但自然的生成是一个由三个不Hypostases。 mb-soft.com | But "admittedly" in the Trinity the denotation as [...] well as the connotation of the words is diverse, it is still true that [...]each of the three Hypostases is identified with the Divine Nature (that is, each Person is God); but if each Hypostasis is therefore still a physis (the one physis) yet the physis is not one by three Hypostases. mb-soft.com |
但是天主教徒举行基督人性本身考虑是anhypostatos,但圣 灵 三位一体 的 第 二人称是其hypostasis。 mb-soft.com | But Catholics hold the Human Nature of Christ considered in itself to be anhypostatos, but that the second [...] Person of the Holy Trinity is its hypostasis. mb-soft.com |
在欧洲和北美地区,总干事正式出访了以下国家:冰岛--他会见了该国的几位部长, 参观了三位一体学院 历史图书馆、议会和列入《世界遗产名录》的 [...] Bru na boinne 遗址;塞尔 维亚和黑山--应 Marovic 总统邀请,总干事对塞尔维亚和黑山进行了第一次正式访问。 unesdoc.unesco.org | In the Europe and North America region, the Director-General paid official visits to: Ireland, where he [...] met several Ministers and visited the [...] historic Library of Trinity College, the Parliament, [...]and the site of Brú na Bóinne, [...]inscribed in the World Heritage List; Serbia and Montenegro – at the invitation of President Marović, the Director-General paid his first official to Serbia and Montenegro. unesdoc.unesco.org |
撇开三位一体的化身,每一个自然的生成是一个本质,特性,是每hypostasis physis之基督一-在本次发言,并同意所有天主教徒。 mb-soft.com | Putting aside the Trinity and the Incarnation, [...] every physis is a hypostasis, and every hypostasis is a physis -- in this [...]statement all Catholics and Monophysites agree. mb-soft.com |
有些僧侣的君士坦丁堡西徐亚,马克森提约翰率领519之前,在和解与西方,坚持公式 “ 三位一体 之 一,被钉在十字架测试”,以排除景教一方面与异端的彼得Fullo关于其他。 mb-soft.com | Some Scythian monks of Constantinople, led by John Maxentius, before the [...] reconciliation with the West in 519, upheld [...] the formula "one of the Trinity was crucified" as [...]a test to exclude the heresy of Peter [...]Fullo on the one hand and Nestorianism on the other. mb-soft.com |
# Data records from another source follow
┌──
No. 1
Here is a cluster of 2 separate species, C10H15NO2 in total from the Open Molecules 2025 dataset. Energies are from ωB97M-V/def2-TZVPD.

## Properties
- E_HOMO: -8.32 eV
- Gap between HOMO and LUMO: 9.100 eV
- Electronic energy: -16197.4702 eV
- Lowest unoccupied orbital energy: 0.78 eV
- SMILES: Cc1ccc(O)cc1.CCC(N)=O
- Multiplicity: 1
- Max |F|: 5.0 eV/A
- Relative energy (zero: lowest compared OMol25 entry of this formula, charge and spin): 37.4 kcal/mol

Atoms and positions in Å:
C -0.13535 -2.38668 -1.36023
C -0.31799 -2.07337 -2.93288
C 1.33401 -2.62345 -1.19994
O 2.18979 -1.81957 -1.34795
N 1.54300 -3.95449 -0.60729
H -0.40425 -1.55780 -0.67475
H -0.81916 -3.17593 -1.13372
H 0.31432 -1.14998 -3.22814
H 2.42459 -4.37373 -0.44007
H 0.79443 -4.59728 -0.60957
H -1.39018 -1.77480 -3.18812
H -0.07671 -3.00965 -3.56802
C 1.59194 2.46860 2.74472
C -1.15636 0.41490 1.09886
C -1.72194 1.36509 0.24107
C 0.03068 0.86693 1.70224
C 0.47318 2.20282 1.85795
C -1.18649 2.64670 0.24055
C -0.12771 3.13654 1.03932
O -2.77436 1.14433 -0.59498
H -1.53763 -0.53041 1.24101
H 0.62099 0.14341 2.14485
H -1.63908 3.28557 -0.43301
H -3.19351 1.99734 -0.89594
H 1.90010 1.56431 3.28191
H 1.47308 3.24011 3.45863
H 0.19896 4.18960 1.00428
H 2.50588 2.72409 2.24511

Mulliken atomic charge list, values in e, 8 entries:
1. C 0.255
2. C -1.073
3. C 0.354
4. O -0.536
5. N -0.374
6. H -0.272
7. H 0.353
8. H 0.271

No. 2
Here is a cluster of 2 separate species, H4O2 in total from the Open Molecules 2025 dataset. Energies are from ωB97M-V/def2-TZVPD.

## Properties
- E_HOMO: -11.31 eV
- Gap between HOMO and LUMO: 11.996 eV
- Electronic energy: -4159.8124 eV
- Lowest unoccupied orbital energy: 0.68 eV
- SMILES: O.O
- Multiplicity: 1
- Max |F|: 0.2 eV/A
- Relative energy (zero: lowest compared OMol25 entry of this formula, charge and spin): 2.9 kcal/mol

Atoms and positions in Å:
O -0.28045 0.91581 -1.44154
H -0.89058 0.46050 -0.85356
H 0.45502 1.15408 -0.86949
O 0.21524 -0.49050 1.22771
H -0.43633 -1.20153 1.24719
H 0.93710 -0.83835 0.68969

The computed Mulliken charges, all in e, follow:
1. O -0.636
2. H 0.333
3. H 0.309
4. O -0.665
5. H 0.320
6. H 0.338

No. 3
Here is the molecule C3H8N2O from the Open Molecules 2025 dataset. Energies are from ωB97M-V/def2-TZVPD.

## Properties
- E_HOMO (alpha / beta): -6.15 / -10.78 eV
- Gap between HOMO and LUMO (alpha / beta): 7.196 / 10.724 eV
- Electronic energy: -8262.6501 eV
- Lowest unoccupied orbital energy (alpha / beta): 1.04 / -0.05 eV
- <S²>: 2.008
- Multiplicity: 3
- Max |F|: 4.9 eV/A
- Relative energy (zero: lowest compared OMol25 entry of this formula, charge and spin): 6.8 kcal/mol

Atoms and positions in Å:
C -1.51700 -0.86572 -0.36174
C 0.60600 0.46007 -0.25652
C 1.80096 0.69458 0.64472
N 0.05259 -0.75713 -0.14630
N -3.12040 0.81196 0.27084
O -2.25816 -0.20736 0.65086
H -1.59348 -2.03401 -0.47751
H -1.71954 -0.50760 -1.31960
H 0.31555 1.11977 -1.01447
H 1.54254 0.10869 1.46596
H 2.03218 1.73028 0.90029
└──
# End of the data records
对于影子,泛神论的神能集的形式一,永恒的,个人精神和创造者;为原油三摩提,崇高 的 三位一体 , 以 及向毗湿奴的化身,上帝的儿子,粗和有辱人格的化身。 mb-soft.com | For the shadow, pantheistic deity it can set form the One, [...] Eternal, Personal Spirit and creator; [...] for the crude Tri-murti, the sublime Trinity; and for the [...]coarse and degrading avatars of [...]Vishnu, the incarnation of the Son of God. mb-soft.com |
这最后一个概念,我们吃惊的是,假设,这样看来,由早期的希腊,但在不同语言的辩护士;哥拉(谁是雅典人可能在与西方的关系一直)是唯一一个谁主张团结 的 三位一体。 mb-soft.com | This last conception, to our amazement, is assumed, it would appear, by the early Greek apologists, though in varying language; [...] Athenagoras (who as an Athenian may have been in relation with the West) [...] is the only one who asserts the Unity of the Trinity. mb-soft.com |
以赛亚并没有混淆三位一体之圣 父与圣子的 地位。 liangyou.net | Isaiah was not confused about the first [...] two members of the trinity: God the Father [...]and God the Son. liangyou.net |
为满足客户需求,代斯米开发了一种由洛氏MKII型真空机和洛 氏罐4000型挂车组合的三位一体的真 空、存储和运输系统。 desmi.com | To fulfil customers needs and requirements, DESMI has looked to create [...] a combined vacuum, storage and transportation system, by combining their [...] popular RO-VAC MK II and RO-TANKER 4000 units. desmi.com |
从90年代末开始,中远散运坚决贯彻执行中远集团“从拥有船向控制船转变”的战略,从变革企业发展战略的视角入手,探索打破原有单一的船东模式,扩大企业外取市场资源空间,构建了船东(OWNER)、租家(CHARTERER)、经纪人(BROKER) “ 三位一体 ” 的 新型航运企业经营模式,使企业实现了从拥有有限国有资产向控制外部市场资源的战略转变。 cosbulk.com | It started from reforming on enterprise development strategy, explored ways to break through the single ship-owner mode, [...] enlarged the space of gain market resources, [...] and built up the “three-in-one” new shipping [...]enterprise operation mode, namely ship-owner, [...]charterer and broker, realizing the strategic transformation from owning limited state-owned assets to controlling external market resources. cosbulk.com |
同样,信徒受洗归入教 [...] 会,与教会合一,是耶稣所希望看到的合一(约翰福音 17 章),正如三位一体神的合一一 样。 sallee.info | In a similar way, a believer is [...] baptized into the church community; the community which Jesus desires to have the [...] same kind of unity (Jn 17) as the Trinity. sallee.info |
如果基督的nestorians [...] physis之用在一个新的意义hypostasis和基督一性,它不仅遵循其词的使用是奇不一致的和不可原谅的,但(这是什么更为重要),他们没有看到有什么困难是的,教皇的真正含义天主教会和神学家,谁坚持使用一个字和与化身同样的意义上,关于既 要 三位一体。 mb-soft.com | If in Christology the Nestorians used hypostasis and the Monophysites physis in a new sense, not only does it follow that their use of words was singularly inconsistent and inexcusable, but (what is far more important) that they can have had no difficulty in seeing what was the true meaning of Catholic councils, popes, and [...] theologians, who consistently [...] used the words in one and the same sense with regard both to the Trinity and the Incarnation. mb-soft.com |
目前,公司以深圳为基点、以北京为先导,立足光彩国际中心、泛海国际居住区两个重点项目,全面启动ISO9001(质量)、ISO14001(环境)、GB/T28001(职业健康安全 ) 三位一体 认 证 工作,打造标准化、规范化、职业化的一流物业管理企业。 cohg.com.cn | Based on Glory China Center and Oceanwide International [...] Residential District, OPM is on [...] the way for three certifications: ISO9001 (quality), ISO14001(environment) and GB/T28001 (professional health security) , which would shape it into a standardized, regulated and professional top-tier property management [...]company. cohg.com.cn |
这些异端教导有3种性质的三位一体, 三 人 一 个被个人的。 mb-soft.com | These heretics taught that [...] there were three natures in the Holy Trinity, the three Persons being [...]individuals of a species. mb-soft.com |
-- Someone pasted records of molecules at this point --
- - -
{"formula": "C32H32BrCdN7O2S2", "method": "ωB97M-V/def2-TZVPD", "e_tot_ha": -5310.58366, "relative_energy_ev": 0.605, "orbital_gap_ev": 7.6, "symbols": ["Cd", "C", "C", "N", "C", "S", "N", "N", "C", "C", "C", "C", "C", "C", "C", "N", "H", "H", "H", "H", "H", "H", "H", "H", "H", "H", "H", "H", "H", "C", "C", "C", "C", "C", "Br", "N", "C", "H", "H", "H", "H", "H", "H", "C", "C", "C", "C", "C", "C", "C", "S", "O", "O", "N", "C", "C", "C", "C", "C", "C", "C", "C", "N", "C", "H", "H", "H", "H", "H", "H", "H", "H", "H", "H", "H", "H", "H"], "xyz": [[-0.65736, -0.73358, -1.29891], [-0.68210, -6.67256, 0.51826], [0.29962, -5.53712, 0.76120], [0.62975, -4.79815, -0.44716], [-0.12699, -3.78024, -0.91416], [0.57290, -2.82291, -2.19416], [-1.33796, -3.67787, -0.39901], [-1.99350, -2.55798, -0.78778], [-3.26347, -2.49449, -0.67028], [-4.11776, -3.62057, -0.17994], [-3.88539, -1.19843, -1.03964], [-5.26322, -1.02667, -0.92470], [-5.83178, 0.18559, -1.27049], [-5.01147, 1.20170, -1.72584], [-3.65208, 0.94972, -1.81209], [-3.09529, -0.20951, -1.48545], [-0.88990, -7.19439, 1.45381], [-0.27552, -7.39240, -0.19293], [-1.61842, -6.28481, 0.12171], [1.23933, -5.93571, 1.14757], [-0.09458, -4.83663, 1.50101], [1.57795, -4.80429, -0.78005], [-3.48977, -4.48350, 0.01796], [-4.87489, -3.89144, -0.91876], [-4.63464, -3.34310, 0.74154], [-5.87861, -1.83633, -0.56392], [-6.90021, 0.33244, -1.18204], [-5.40322, 2.16876, -2.00627], [-2.97260, 1.71797, -2.15543], [0.94866, 4.74991, -0.74349], [0.45305, 3.75028, -1.74847], [0.61095, 3.91766, -3.11886], [0.15434, 2.95011, -3.99868], [-0.43831, 1.82532, -3.45318], [-1.05464, 0.44149, -4.59289], [-0.59503, 1.63501, -2.15865], [-0.16931, 2.58348, -1.32782], [1.27363, 5.66863, -1.22956], [1.79596, 4.34786, -0.18558], [0.16927, 5.00151, -0.02368], [1.09377, 4.80766, -3.50396], [0.26049, 3.05543, -5.06753], [-0.31938, 2.37484, -0.27559], [0.69252, 4.15675, 5.64462], [0.51845, 3.05378, 4.63707], [-0.05666, 1.83900, 4.99812], [-0.19170, 0.80843, 4.08158], [0.24099, 0.99491, 2.77651], [0.82407, 2.19467, 2.39851], [0.95931, 3.21450, 3.32710], [0.00030, -0.33043, 1.62101], [0.43739, -1.52927, 2.29246], [-1.39694, -0.26901, 1.21438], [0.80263, 0.02386, 0.29705], [2.19389, -0.05345, 0.25396], [3.01766, -0.18134, 1.35089], [4.42073, -0.19880, 1.22334], [5.02275, -0.09820, 0.00540], [4.21652, 0.01799, -1.15130], [4.77565, 0.09435, -2.44708], [3.95889, 0.17831, -3.53277], [2.56544, 0.19260, -3.31852], [2.00707, 0.13878, -2.13816], [2.80839, 0.04486, -1.04215], [0.04649, 4.00713, 6.50876], [0.46034, 5.12948, 5.20995], [1.72312, 4.19568, 6.00339], [-0.40227, 1.69613, 6.01497], [-0.62677, -0.13825, 4.37098], [1.19481, 2.31255, 1.38938], [1.42156, 4.14961, 3.03167], [2.59280, -0.29521, 2.33707], [5.02005, -0.30141, 2.11907], [6.09983, -0.11931, -0.09729], [5.85363, 0.07537, -2.55585], [4.35105, 0.22306, -4.53943], [1.89576, 0.24017, -4.17083]], "forces_ev_per_a": [[0.121, 0.144, -0.322], [-0.018, -0.024, 0.021], [0.070, 0.010, 0.024], [0.067, 0.099, -0.010], [-0.125, -0.161, -0.182], [-0.062, 0.163, 0.141], [0.005, 0.156, -0.072], [-0.005, -0.206, 0.121], [0.043, 0.116, 0.005], [0.005, -0.036, 0.017], [-0.007, -0.091, 0.019], [0.001, 0.029, -0.013], [0.007, -0.014, 0.004], [0.019, 0.007, -0.005], [0.032, 0.026, -0.015], [-0.006, -0.102, 0.097], [-0.013, -0.013, 0.008], [0.006, -0.002, -0.015], [-0.003, 0.013, -0.007], [-0.020, 0.013, 0.029], [-0.018, -0.042, -0.021], [-0.024, -0.022, 0.003], [0.000, 0.006, 0.004], [0.006, 0.001, -0.010], [0.008, 0.008, 0.006], [-0.011, -0.007, 0.007], [-0.008, 0.003, -0.002], [-0.002, 0.010, -0.005], [-0.003, 0.011, -0.016], [-0.011, 0.039, -0.012], [-0.008, -0.035, 0.006], [0.005, -0.006, 0.010], [-0.009, -0.008, 0.041], [0.032, 0.062, -0.066], [0.002, -0.006, 0.044], [0.004, -0.174, -0.144], [0.010, -0.012, 0.091], [-0.002, 0.003, -0.003], [0.017, -0.009, 0.003], [0.002, -0.009, 0.013], [0.003, 0.009, 0.000], [0.000, -0.005, -0.018], [0.000, 0.007, 0.018], [-0.008, 0.017, 0.012], [0.011, 0.013, 0.001], [-0.015, -0.038, 0.005], [0.014, 0.059, -0.009], [0.021, 0.064, 0.007], [-0.005, -0.032, 0.013], [-0.002, 0.008, -0.006], [-0.081, -0.068, 0.084], [-0.050, 0.030, 0.025], [-0.003, 0.042, 0.029], [0.098, -0.037, 0.124], [-0.116, 0.002, -0.078], [0.100, -0.014, 0.053], [-0.030, -0.001, -0.007], [-0.036, 0.003, -0.014], [0.073, -0.008, -0.001], [0.007, 0.006, 0.022], [-0.041, -0.006, -0.009], [0.007, 0.013, 0.002], [0.007, 0.038, 0.036], [-0.040, -0.021, -0.017], [-0.001, -0.001, 0.001], [0.003, -0.004, -0.004], [0.003, -0.005, -0.003], [-0.001, -0.002, 0.007], [-0.009, -0.024, 0.005], [-0.001, 0.007, -0.031], [0.008, 0.007, -0.005], [-0.012, -0.001, 0.000], [0.002, -0.002, 0.008], [0.022, 0.005, -0.007], [0.008, -0.006, 0.003], [0.000, 0.005, -0.007], [-0.039, -0.002, -0.032]], "mulliken_charge": [1.970, -1.059, -0.337, -0.148, 0.178, -0.539, -0.802, 0.646, 0.424, -1.448, 0.463, -0.853, -0.456, -1.003, -0.322, 0.337, 0.332, 0.308, 0.213, 0.476, 0.164, 0.227, 0.096, 0.366, 0.358, 0.366, 0.412, 0.434, 0.401, -1.404, 0.585, -0.532, -0.655, -0.191, -0.029, 0.177, -0.733, 0.413, 0.217, 0.362, 0.397, 0.496, 0.782, -1.448, 0.899, -0.886, -0.946, 0.049, 0.221, -0.989, 0.945, -0.669, -0.739, 1.218, -0.002, -0.732, -1.079, -0.927, 1.073, -0.796, -1.006, -0.301, 0.360, -0.394, 0.369, 0.362, 0.289, 0.341, 0.470, 0.222, 0.415, 0.591, 0.409, 0.393, 0.412, 0.410, 0.378]}
- - -
J-LEASE株式会社,作为促进租赁住宅、租赁店铺等房屋中介市场的健康发展,帮助房东、中介公司、承租人建立 起 三位一体 的 信 赖关系的房租保证公司,于2004年在大分县大分市正式创立了。 j-lease.jp | LTD. founded in Oita-pref. in March 2004 to expedite healthy supply and demand of leasing properties in Kyusyu area. j-lease.jp |
因此,physis之意蕴(摘要= [...] ousia)和hypostasis(温饱physis之,physis之hyphestosa或enhypos ta t o s 三位一体 ) 在 圣地是一个共同拥有,而所有同意进一步,在创造宇宙就不可能存在的性质不存在,但是有没有这样的事情physis之anhypostatos作为。 mb-soft.com | Thus the meanings of physis (abstract=ousia) and hypostasis [...] (subsistent physis, physis hyphestosa or [...] enhypostatos) in the Holy Trinity were a common possession; [...]and all agreed further that in [...]the created universe there cannot exist a nature which does not subsist, there is no such thing as a physis anhypostatos. mb-soft.com |
UIE:取得的成果:该研究所在方法上采用了 “ 三位一体 ” 的原则,努力使自己的活动相互 联系,全面覆盖三个相互关联的优先领域:终身学习、达喀尔行动纲领和第五届国际成人教 [...] 育大会宣言及未来议程。 unesdoc.unesco.org | UIE: Some results achieved: The Institute [...] adopted a methodological [...] principle; “Three-in-one”, endeavouring to [...]integrate its activities to cover the three interrelated priority areas of [...]Lifelong Learning, the Dakar Framework of Action and the CONFINTEA V Declaration and Agenda for the Future. unesdoc.unesco.org |
除它的其他功能,我们有到 [...] DDR3-1600年双通道集成的内存控制器,根据使用主板可以支持 (通过超频) 与达 3200 MHz 频率磁疗 [...] ; DDR3 内存我们也可以看到新的 AVX 2.0 和 FMA3 说明游戏支持,后者首演于 AMD 微处理器基于微体系结构打桩机 (维舍拉、 三位一体和丽晶)。 cn.500gadgets.com | Among its other features, we have to DDR3-1600 dual channel integrated memory controller, which depending on the used motherboard can support (via overclock) DDR3 memory with up to 3200 MHz frequency magnetotherapy; We can also see the new AVX 2.0 and FMA3 instructions games support, [...] the latter premiered in AMD [...] microprocessors based on the micro-architecture Piledriver (Vishera, Trinity and Richland). 500gadgets.com |
没有idiomatum可能解释这一论断的距离通信中的痛苦的神性的,因为它不仅是神性(在hypostasis感)的钉在十字架上的儿子据说已经消失,语言附加到一个调用 的 三位一体 3 倍。 mb-soft.com | There is no possibility of explaining away this assertion of the suffering of the Divine Nature by the communicatio idiomatum, for it is not merely the Divine Nature (in the sense of [...] hypostasis) of the Son which is said to have been crucified, but the words are attached to a [...] three-fold invocation of the Trinity. mb-soft.com |
(1)
Computed, not measured: C34H42BBrN6O2S5Ta as an isolated structure at a distorted geometry, with wB97M-V/def2-TZVPD.

The geometry in XYZ format:
```
92
Properties=species:S:1:pos:R:3:forces:R:3
H 3.6315 3.8444 -5.4074 0.037 0.028 -0.061
O 1.4828 2.2317 -0.3533 -0.764 -0.516 1.240
S 0.4275 -2.2087 0.8788 0.539 0.733 0.170
C 3.6594 -0.7207 2.2087 0.247 -0.142 -0.231
Br 3.0655 6.7524 -5.2843 -0.012 -0.202 0.146
H 6.9508 -2.7240 2.0715 0.108 -0.072 0.009
C 1.8178 4.4851 -2.0576 0.053 -0.290 0.064
H 1.1775 -4.7354 0.5965 0.073 0.010 0.010
H 3.9691 -0.6178 4.3091 -0.007 -0.024 0.222
H 3.1306 1.9577 -3.8849 0.018 -0.105 -0.081
H -0.5263 2.5386 -2.1048 -0.030 -0.051 -0.010
H 1.9260 -5.8481 -0.5471 0.115 -0.055 -0.060
C -2.2322 0.3588 -1.2242 0.094 -0.317 0.151
H -1.8457 -1.3193 5.3115 -0.019 0.039 0.182
H -1.8800 2.0425 6.6418 0.073 0.078 0.027
N -2.0354 -0.9252 2.0938 -0.084 0.381 0.551
H 1.1046 1.2349 4.4023 0.018 0.022 0.044
H 1.9558 -2.9969 -1.0930 -0.015 -0.030 -0.046
H -0.5698 -6.2566 -2.3216 -0.085 -0.097 0.009
C -1.4393 0.2069 2.5165 0.037 -0.101 -0.336
C -1.2405 2.6506 4.2246 0.116 -0.053 -0.069
C 1.4907 -3.5158 -1.9252 0.013 -0.077 0.174
N -0.7539 -3.8369 -1.0091 -0.430 0.539 0.389
H 0.6944 1.8746 5.9950 -0.011 0.086 0.118
N -2.8991 1.3463 -1.8659 0.044 -0.585 0.506
C -2.4469 2.1378 -3.0252 0.461 0.501 -0.613
H -1.6495 0.3152 6.7039 0.002 -0.164 0.050
H -3.9430 3.7272 -2.9010 -0.076 0.053 0.085
C 0.4478 1.1148 5.2587 -0.172 0.056 -0.140
H -0.4824 2.8909 3.4877 -0.004 0.077 0.002
C -1.9387 1.1331 6.0516 0.056 -0.020 -0.135
C 1.8252 2.0494 -1.5565 0.469 0.869 -1.205
H -0.9705 3.6690 -3.3794 0.038 0.070 -0.094
H -2.6845 -2.6779 3.1325 -0.153 -0.167 -0.015
C 0.9931 -5.3666 -0.2693 -0.084 0.072 -0.072
H 0.2791 -6.1383 0.0122 -0.076 -0.077 -0.004
H -1.8311 1.7825 -5.0576 -0.068 0.101 -0.064
C -1.3529 3.0921 -2.5414 -0.036 -0.142 -0.008
H -3.9131 -3.0850 -0.9471 -0.196 0.009 -0.026
C 2.7321 5.3013 -4.1115 -0.031 0.007 -0.023
C 2.1840 3.1898 -2.4186 0.028 0.142 -0.088
C -1.8319 -1.0171 4.2865 -0.203 -0.681 -0.099
H -3.8649 -1.6333 1.0787 -0.275 -0.090 0.075
B -2.7737 -1.2757 0.7747 0.477 0.091 -0.219
S 2.1799 0.2076 2.2997 -0.543 -0.051 -0.883
H -4.8610 0.5171 0.5797 -0.217 -0.027 0.183
H 1.0264 -2.7794 -2.5788 -0.056 0.062 -0.105
H -3.2622 3.4597 -4.4925 0.033 -0.008 0.009
C 2.0846 5.5403 -2.9054 0.055 0.165 -0.123
H 1.3101 4.6463 -1.1186 -0.031 0.055 0.083
C 3.1216 4.0175 -4.4725 0.022 0.171 -0.098
C -0.8397 -2.8340 -0.1099 0.152 0.160 0.299
C 4.3606 -0.9979 3.3798 -0.110 0.051 -0.136
C -4.0733 1.5469 -1.1914 -0.393 -0.030 0.476
H -0.9579 0.8007 -3.8930 -0.040 0.037 -0.098
H -2.9745 1.0011 5.7464 -0.096 -0.003 -0.013
C 5.5345 -1.7229 3.3346 0.069 0.037 -0.013
H 6.0743 -1.9313 4.2474 0.013 -0.009 0.027
C 4.1544 -1.1692 0.9814 -0.032 -0.135 0.280
S -0.7241 -0.2913 -1.7108 0.769 0.141 0.127
H -2.2462 -4.8169 -2.2046 0.001 -0.126 -0.107
C 0.1235 -5.4727 -2.6158 -0.089 0.141 0.185
C 5.3471 -1.8892 0.9453 -0.150 0.075 -0.046
这就是所谓三摩提(三表),或 三位一体 , 从 完全不同的三个不同的人永远在一个基督教神性的概念,从而提供了建议,为印度教起源基督教教义没有合法理由。 mb-soft.com | This is the so-called Tri-murti (tri-form), or trinity, altogether different from the Christian concept of three eternally distinct persons in one Godhead, and hence offering no legitimate ground for suggesting a Hindu origin for the Christian doctrine. mb-soft.com |